2021 Changemakers Summit
Changemakers 2021 - Tanzania
In September, the Vermont Council on World Affairs partnered with Techvantage Tanzania, an organization based in Dar es Salaam that provides opportunities for students to broaden their knowledge of technology and improve their English language skills, to present the second Changemakers Summit to students in Tanzania’s capital city. This year alone, Techvantage Tanzania expects to serve more than 1000 students from schools throughout Dar es Salaam who lack access to technological resources.
This year’s Changemakers Summit builds on a history of engagement between the Vermont Council on World Affairs and the country of Tanzania. In 2019, the VCWA hosted one adult mentor (who is also the founder of Techvantage Tanzania) and five high school students from Tanzania through the Pan-African Youth Leadership Program (PAYLP), a three-week exchange program sponsored by the US Department of State that promotes leadership and entrepreneurship skills to high school students across Africa. Later that year, through a grant from the George Washington University Institute for Public Diplomacy and Global Communication’s annual Walter Roberts Endowment, the Vermont Council on World Affairs organized and sponsored the first Changemakers Summit, focused on achieving equity through innovation. The goal of that summit was to connect future leaders and mentors invested in equity and entrepreneurship, particularly in the field of women’s health, and featured several guest speakers, including Burlington’s own Dr. Anne Dougherty.
We were excited to continue building on this relationship with our friends in Tanzania and appreciate the support from the Vermont Community Foundation that helped make this event a success. More than 30 high school students participated in this day long event, where they connected with guest speakers from the United States, South Sudan, and Tanzania. Like their counterparts in the United States, many of the students in attendance had experienced academic hardships as a result of COVID-19. The featured speakers took the opportunity to share tips and advice on best practices for fully utilizing technology to increase productivity while learning and how to access information and educational opportunities online.
Inserted here: calculated crystals
=====
No. 1
Theoretical powder diffraction line list of Sm6Tl3Bi for Cu Ka, from DFT lattice parameters and positions (GGA-PBE).
No peak broadening, texture or thermal motion is included.

The 6 most intense peaks (5 to 70 degrees two-theta), by angle:
| 2θ (°) | Rel. int. |
| --- | --- |
| 29.61 | 79 |
| 29.72 | 77 |
| 31.04 | 87 |
| 32.67 | 100 |
| 33.04 | 92 |
| 37.44 | 37 |

Structure:
```
data_Sm6Tl3Bi
_cell_length_a 10.233
_cell_length_b 10.233
_cell_length_c 6.979
_cell_angle_alpha 90.00
_cell_angle_beta 90.00
_cell_angle_gamma 120.39
_space_group_name_H-M_alt 'P 1'
_space_group_IT_number 1
loop_
_space_group_symop_operation_xyz
'x,y,z'
loop_
_atom_site_label
_atom_site_type_symbol
_atom_site_fract_x
_atom_site_fract_y
_atom_site_fract_z
_atom_site_occupancy
Sm1 Sm 0.012 0.988 0.500 1
Sm2 Sm 0.083 0.542 0.021 1
Sm3 Sm 0.248 0.364 0.285 1
Sm4 Sm 0.298 0.702 0.504 1
Sm5 Sm 0.364 0.248 0.785 1
Sm6 Sm 0.458 0.917 0.021 1
Sm7 Sm 0.542 0.083 0.521 1
Sm8 Sm 0.636 0.752 0.285 1
Sm9 Sm 0.702 0.298 0.004 1
Sm10 Sm 0.752 0.636 0.785 1
Sm11 Sm 0.917 0.458 0.521 1
Sm12 Sm 0.988 0.012 0.000 1
Tl1 Tl 0.090 0.311 0.729 1
Tl2 Tl 0.311 0.090 0.229 1
Tl3 Tl 0.417 0.583 0.900 1
Tl4 Tl 0.583 0.417 0.400 1
Tl5 Tl 0.689 0.910 0.729 1
Tl6 Tl 0.910 0.689 0.229 1
Bi1 Bi 0.153 0.847 0.783 1
Bi2 Bi 0.847 0.153 0.283 1
```

No. 2
Theoretical powder diffraction line list of Sm3TlBi2 for Cu Ka, from DFT lattice parameters and positions (GGA-PBE).
No peak broadening, texture or thermal motion is included.

The 6 most intense peaks (5 to 70 degrees two-theta), by angle:
| 2θ (°) | Rel. int. |
| --- | --- |
| 27.80 | 100 |
| 38.83 | 14 |
| 39.74 | 52 |
| 48.47 | 15 |
| 49.87 | 14 |
| 65.09 | 12 |

Structure:
```
data_Sm3TlBi2
_cell_length_a 7.976
_cell_length_b 7.976
_cell_length_c 7.976
_cell_angle_alpha 147.56
_cell_angle_beta 132.66
_cell_angle_gamma 58.56
_space_group_name_H-M_alt 'P 1'
_space_group_IT_number 1
loop_
_space_group_symop_operation_xyz
'x,y,z'
loop_
_atom_site_label
_atom_site_type_symbol
_atom_site_fract_x
_atom_site_fract_y
_atom_site_fract_z
_atom_site_occupancy
Sm1 Sm 0.000 0.000 0.000 1
Sm2 Sm 0.328 0.328 0.000 1
Sm3 Sm 0.672 0.672 0.000 1
Tl1 Tl 0.500 0.000 0.500 1
Bi1 Bi 0.166 0.666 0.500 1
Bi2 Bi 0.834 0.334 0.500 1
```
=====
Vermont Council on World Affairs Executive Director Patricia Preston, who attended virtually, offered closing remarks along with Kyona Benjamin, the Founder of Techvantage Tanzania, and reiterated the important role that technology can play in pursuing and achieving academic goals. Kyona Benjamin was thrilled with the success of the event, writing that “programs like these make learning easy and accessible to the youth and helps them transform into global citizens.”